## To do
Could you count the lines further down that contain the word "DEFGRID3" and give the number alone?

## Data
____________
{
  "formula": "C9H24IO4PSi2",
  "method": "ωB97M-V/def2-TZVPD",
  "species": ["C", "P", "O", "Si", "O", "Si", "I", "H", "H", "H", "H", "H", "H", "H", "H", "C", "C", "C", "O", "C", "H", "H", "H", "H", "H", "H", "H", "H", "C", "C", "C", "O", "C", "H", "H", "H", "H", "H", "H", "H", "H"],
  "coordinates": [[1.5900, -0.0950, -2.2882], [1.3751, -2.0046, -2.6098], [1.0634, -2.7910, -1.0478], [-0.3107, -2.2721, -3.9962], [-1.8823, -2.4527, -3.2332], [-2.1258, -1.3171, -1.9150], [-4.4166, -0.3632, -1.7721], [0.6787, 0.5156, -2.7477], [1.6618, 0.1553, -1.1423], [2.5325, 0.2195, -2.9116], [1.7129, -2.3496, -0.4082], [-0.0503, -3.5458, -4.7153], [-0.2313, -1.2230, -5.0046], [-1.1632, -0.2264, -1.8497], [-1.9360, -2.0966, -0.6645], [-6.0581, 3.7733, 1.5591], [-5.7495, 2.3034, 1.4372], [-4.2371, 2.2922, 1.4835], [-3.8374, 3.4068, 2.2928], [-4.9806, 4.2452, 2.5106], [-7.0679, 3.9819, 1.9214], [-5.9355, 4.2604, 0.5843], [-6.1538, 1.7666, 2.3035], [-6.1521, 1.8431, 0.5313], [-3.8078, 2.4327, 0.4858], [-3.8376, 1.3668, 1.9082], [-5.2911, 4.1219, 3.5539], [-4.7067, 5.2915, 2.3493], [5.3723, -1.8781, 2.0612], [6.3868, -1.5248, 1.0044], [5.6117, -1.7673, -0.2724], [4.2333, -1.5005, 0.0205], [4.0841, -1.3816, 1.4421], [5.5780, -1.4281, 3.0358], [5.3313, -2.9665, 2.1872], [6.6518, -0.4640, 1.0848], [7.3064, -2.1125, 1.0635], [5.6893, -2.8119, -0.5921], [5.9446, -1.1255, -1.0932], [3.9150, -0.3241, 1.6728], [3.2124, -1.9542, 1.7706]],
  "forces_ev_per_angstrom": [[-0.84, 0.91, -0.56], [1.71, 0.42, 1.94], [0.97, 2.24, -0.72], [-2.30, -1.38, 0.93], [1.34, 2.58, 0.77], [-0.27, -2.30, -0.58], [0.61, -0.26, -0.26], [1.91, -1.22, 1.11], [0.08, -0.52, -2.34], [-1.67, -0.59, 1.60], [-1.07, -0.97, -1.34], [-0.14, 0.13, 0.23], [0.02, 0.52, -0.08], [0.03, 0.35, -0.43], [-0.23, 0.13, -0.26], [-0.28, 0.48, -0.35], [-0.27, -0.58, 0.13], [0.45, -0.02, -0.13], [-0.36, -0.02, -0.11], [0.24, 0.10, 0.38], [0.12, 0.00, -0.03], [-0.05, -0.02, 0.12], [0.03, 0.01, -0.12], [0.08, 0.03, 0.10], [-0.03, -0.12, -0.04], [0.05, 0.14, 0.00], [-0.07, 0.09, 0.00], [0.09, -0.12, 0.04], [-0.09, -0.47, 0.50], [0.49, 0.41, -0.08], [-0.05, -0.25, -0.47], [0.06, -0.02, 0.24], [-0.31, 0.32, -0.05], [-0.06, -0.05, -0.12], [-0.02, 0.13, 0.04], [0.02, -0.12, -0.03], [-0.12, 0.07, -0.04], [0.08, 0.04, -0.04], [-0.16, -0.06, 0.05], [-0.03, -0.03, 0.11], [0.01, 0.04, -0.09]],
  "spin_multiplicity": 1,
  "total_charge": 0,
  "orbital_gap_ev": 8.54,
  "homo_ev": -8.2,
  "largest_force_ev_per_a": 3.00
}

* * * * *

[1]
The following is a quantum chemistry calculation of a 2-piece molecular cluster, C6H12O overall in a non-equilibrium geometry, from the OMol25 dataset.

The calculation puts the total energy at -310.89364 Ha. The HOMO-LUMO gap comes out at 9.4 eV. The calculation puts the molar mass at 100.161 Da. Its LUMO energy is 0.2 eV. The calculation puts the strongest force on any atom at 4.31 eV/A. The HOMO energy comes out at -9.16 eV.

The geometry in ORCA input format:
```
! wB97M-V def2-TZVPD RIJCOSX def2/J DEFGRID3
* xyz 0 1
C -0.727 -1.996 -0.745
C -0.506 -0.588 -0.137
O -1.740 -0.007 0.072
C 0.294 -0.727 1.125
C 0.364 1.438 1.106
C 0.600 1.635 -0.383
C 0.347 0.302 -1.093
H -1.306 -2.620 -0.055
H 0.222 -2.489 -0.982
H -1.304 -1.860 -1.666
H -1.083 0.707 1.086
H -0.243 -0.955 2.049
H 1.336 -1.045 1.091
H -0.136 2.289 1.601
H 1.280 1.280 1.686
H 1.612 1.998 -0.611
H -0.104 2.382 -0.769
H 1.298 -0.192 -1.345
H -0.206 0.449 -2.029
*
```


[2]
The following is a quantum chemistry calculation of C27H38N5O5STeY as an isolated structure in a non-equilibrium geometry, from the OMol25 dataset.

The calculation puts the total energy at -2405.82403 Ha. The HOMO-LUMO gap comes out at 7.8 eV. The calculation puts the molar mass at 761.204 Da. Its LUMO energy is -5.0 eV. The calculation puts the strongest force on any atom at 3.25 eV/A. The HOMO energy comes out at -12.76 eV.

The geometry in ORCA input format:
```
! wB97M-V def2-TZVPD RIJCOSX def2/J DEFGRID3
* xyz 2 1
Y -0.171 0.396 -0.666
____________

## Worked solution
2